According to Foresight News, the winners of the 9th Solana Foundation Hackathon, named Solana Renaissance, have been announced by Colosseum. The hackathon saw participation from over 8300 individuals from 95 countries, who submitted a total of 1071 projects. The projects spanned various categories including infrastructure, gaming, DePIN, DeFi, and consumer applications. The grand prize was awarded to the mining project Ore.

In the consumer applications category, the first prize went to the trading tweets and creator support market The second prize was awarded to the crypto browser Wootz Browser, followed by the gamified social consensus platform Chomp. The trading application Movement and the pay-as-you-go solution DePlan secured the fourth and fifth positions respectively.

+++
Tm2Ni6Ge: optimized geometry, PBE-GGA.

Unit cell a=8.9202 b=5.2338 c=5.7157 alpha=90.00 beta=103.56 gamma=90.00
Closest atoms and distances in Å follow each position.
Space group C2/m (No. 12)
Symmetry-distinct sites (fractional):
Tm 0.1437 0.0000 0.3398 x4  7 Ni 2.75-3.05
Ni 0.1209 0.5000 0.1771 x4  1 Ge 2.35, 5 Ni 2.44-2.59
Ni 0.1361 0.2378 0.8312 x8  1 Ge 2.42, 5 Ni 2.44-2.66
Ge 0.0000 0.5000 0.5000 x2  6 Ni 2.35-2.42

* calculated volume: 14.41 Å³/atom
* energy of formation: -0.48 eV per atom
* energy above the lowest structure with this stoichiometry: 0 meV/atom
+++

In the crypto infrastructure category, the first prize was bagged by the new client High TPS Solana Client. The on-chain protocol Torque and the platform xCrow, which accelerates the use of Solana hosting plans by developers, won the second and third prizes respectively. The re-qualification platform Cambrian and the on-chain points token protocol Merit secured the fourth and fifth positions respectively.

In the gaming category, the first prize was awarded to the new 3D map network Meshmap+City Champ. The battle arena Legends of the Sun and the on-chain game production platform Mining Badger Game, which uses the Honeycomb protocol, won the second and third prizes respectively. The fourth and fifth prizes went to the Web3 network fantasy open world role-playing game Moon Boi Universe, optimized for mobile devices, and the electronic pet mobile game Maneko Pet.

In the DeFi and payment category, the first prize was awarded to the intent-based exchange aggregator Urani. The decentralized on-chain asset management protocol GLAM on Solana and the payment application Nomad won the second and third prizes respectively. The QR code-supported application Ripe and the derivative protocol Exponent, which trades DeFi product yields, secured the fourth and fifth positions respectively.

Inserted here: materials data =
<<<
Record 1
Tl2S | PBE | relaxed

Unit cell a=4.1779 b=4.1779 c=13.0729 alpha=90.00 beta=90.00 gamma=118.44
Fractional coordinates of all 6 atoms:
Tl (0.1648, 0.3352, 0.6279)
Tl (0.3352, 0.1648, 0.1279)
Tl (0.8352, 0.6648, 0.3721)
Tl (0.6648, 0.8352, 0.8721)
S (0.5000, 0.0000, 0.5000)
S (0.0000, 0.5000, 0.0000)

## Properties
Formation energy (no corrections), meV per atom: -337
Crystal system: orthorhombic

***

Record 2
LaNdEr2Se4 | PBE | relaxed

Unit cell a=4.0732 b=7.4080 c=7.0872 alpha=71.51 beta=90.00 gamma=90.00
Fractional coordinates of all 8 atoms:
Er (0.5000, 0.0000, 0.5000)
Er (0.0000, 0.0000, 0.0000)
Se (0.0000, 0.2282, 0.2593)
Se (0.0000, 0.7718, 0.7407)
Se (0.5000, 0.2298, 0.7552)
Se (0.5000, 0.7702, 0.2448)
Nd (0.0000, 0.5000, 0.5000)
La (0.5000, 0.5000, 0.0000)

## Properties
Formation energy (no corrections), meV per atom: -1816
Crystal system: monoclinic

***

Record 3
Ba2Mg4Ga3Hg | PBE | relaxed

Unit cell a=4.9122 b=4.9122 c=11.2611 alpha=90.00 beta=90.00 gamma=90.00
Fractional coordinates of all 10 atoms:
Ga (0.0000, 0.0000, 0.5000)
Ga (0.0000, 0.5000, 0.1295)
Ga (0.5000, 0.0000, 0.8705)
Mg (0.5000, 0.0000, 0.6266)
Mg (0.5000, 0.5000, 0.0000)
Mg (0.0000, 0.0000, 0.0000)
Mg (0.0000, 0.5000, 0.3734)
Ba (0.5000, 0.0000, 0.2510)
Ba (0.0000, 0.5000, 0.7490)
Hg (0.5000, 0.5000, 0.5000)

## Properties
Raw total energy, eV per atom: -2.245
Crystal system: tetragonal

***

Record 4
Mn2ReSb | PBE | relaxed

Unit cell a=4.6380 b=4.6380 c=4.6033 alpha=77.45 beta=77.45 gamma=39.15
Fractional coordinates of all 4 atoms:
Re (0.7500, 0.7500, 0.7500)
Mn (0.0039, 0.0039, 0.9797)
Mn (0.4961, 0.4961, 0.5203)
Sb (0.2500, 0.2500, 0.2500)

## Properties
Formation energy (no corrections), meV per atom: 393
Crystal system: monoclinic

***

Record 5
LiCuRh6 | PBE | relaxed

Unit cell a=4.5079 b=5.1739 c=6.4978 alpha=55.43 beta=69.70 gamma=64.17
Fractional coordinates of all 8 atoms:
Rh (0.7511, 0.1224, 0.3754)
Rh (0.7504, 0.6249, 0.8743)
Rh (0.2489, 0.8776, 0.6246)
Rh (0.5011, 0.7465, 0.2513)
Rh (0.4989, 0.2535, 0.7487)
Rh (0.2496, 0.3751, 0.1257)
Li (0.0000, 0.0000, 0.0000)
Cu (0.0000, 0.5000, 0.5000)

## Properties
Raw total energy, eV per atom: -6.179
Crystal system: monoclinic

=====

Li4Si3Ni2O10 | GGA+U | relaxed

Output
- raw total energy (eV per atom) = -6.38
- crystal system = monoclinic

Cell and atoms, written as CIF:
```
data_Li4Si3Ni2O10
_symmetry_space_group_name_H-M 'C 1 2/c 1'
_symmetry_Int_Tables_number 15
_symmetry_space_group_name_Hall '-C 2yc'
_cell_length_a 9.134
_cell_length_b 5.493
_cell_length_c 16.751
_cell_angle_alpha 90.00
_cell_angle_beta 98.01
_cell_angle_gamma 90.00
loop_
_atom_site_label
_atom_site_fract_x
_atom_site_fract_y
_atom_site_fract_z
_atom_site_occupancy
Li1 0.194 0.126 0.224 1
Li2 0.246 0.424 0.447 1
Si1 0.000 0.385 0.750 1
Si2 0.066 0.096 0.901 1
Ni1 0.097 0.407 0.081 1
O1 0.065 0.347 0.955 1
O2 0.095 0.043 0.110 1
O3 0.102 0.194 0.811 1
O4 0.117 0.464 0.206 1
O5 0.207 0.077 0.434 1
```

=====

No. 1
>>>

In the DePIN category, the first prize was awarded to the open network Blockmesh. The electric vehicle charging network DeCharge and the DePIN financial derivatives platform dBunker won the second and third prizes respectively. The decentralized health network CHRO+ and the international trade DePIN protocol Pomerene secured the fourth and fifth positions respectively.

In the DAO and community category, the first prize was awarded to the AI product development platform DeTask, which utilizes DAO labor. The non-custodial dApp DeStreet, built on Solana Mobile, and the platform TokenGator, which manages dynamic NFT collections, won the second and third prizes respectively. The fourth and fifth prizes went to the platform Maindocs, which allows dapp, institutions, and DAO to create fully customizable and verifiable financial documents, and the on-chain DAO governance model Quadratus Protocol.

### Between two parts of the entry: calculated crystals
Material: CoHgNO2
Method: DFT, GGA-PBEsol
State: relaxed

It has space group P4/mmm (No. 123), with a = 3.965 Å, b = 3.965 Å, c = 3.377 Å, α = 90.00°, β = 90.00° and γ = 90.00°. Symmetry generates all atoms from Co at (0.000, 0.000, 0.000), Hg at (0.500, 0.500, 0.500), N at (0.000, 0.000, 0.500) and O at (0.000, 0.500, 0.000).

As for the uncorrected formation energy: 0.230 eV/atom. For the total energy, the calculation gives -5.24 eV/atom.

* * * * *

## P
The following is a PBEsol calculation of an optimized crystal structure of Tl2AsRh, from Alexandria via LeMat-Bulk.

Results
The space-group type is Fm-3m. For the calculated density, the calculation gives 12.19 g cm⁻³. Its volume is 79.9 Å³ per cell. The density of states at the Fermi level is 3.00 states/eV per cell.

POSCAR file:
```
Tl2AsRh
1.0
-1.858 -3.011 -3.296
-0.149 -4.752 0.879
-4.239 -2.174 0.828
Rh Tl As
1 2 1
Direct
0.500 0.500 0.500
0.250 0.250 0.250
0.750 0.750 0.750
0.000 0.000 0.000
```

---

## Q
The following is a PBEsol calculation of an optimized crystal structure of Tl2AsRh, from Alexandria via LeMat-Bulk.

Results
The space-group type is F-43m. For the calculated density, the calculation gives 12.07 g cm⁻³. Its volume is 80.7 Å³ per cell. The density of states at the Fermi level is 1.93 states/eV per cell.

POSCAR file:
```
Tl2AsRh
1.0
-2.980 2.998 -2.379
-0.758 -0.601 -4.753
-4.294 -1.604 -1.588
Tl As Rh
2 1 1
Direct
0.750 0.750 0.750
0.000 0.000 0.000
0.500 0.500 0.500
0.250 0.250 0.250
```

---

## R
The following is a PBEsol calculation of an optimized crystal structure of Tl2AsRh, from Alexandria via LeMat-Bulk.

Results
The space-group type is R-3m. For the calculated density, the calculation gives 11.79 g cm⁻³. Its volume is 82.6 Å³ per cell. The density of states at the Fermi level is 3.02 states/eV per cell.

POSCAR file:
```
Tl2AsRh
1.0
-0.985 -1.655 2.654
-0.878 -3.148 -0.263
7.758 -4.069 2.369
Rh Tl As
1 2 1
Direct
0.000 0.000 0.000
0.742 0.742 0.775
0.258 0.258 0.225
0.500 0.500 0.500
```

---

Tell me which of them is the most stable. Sure, it is R.

---

## P
The following is a PBEsol calculation of an optimized crystal structure of TlAs2Rh, from Alexandria via LeMat-Bulk.

Results
The space-group type is P2/m. For the calculated density, the calculation gives 9.06 g cm⁻³. Its volume is 83.8 Å³ per cell. The density of states at the Fermi level is 1.92 states/eV per cell.

POSCAR file:
```
TlAs2Rh
1.0
3.997 0.000 0.000
0.000 4.632 0.001
0.000 -1.962 4.526
Rh Tl As
1 1 2
Direct
0.500 0.000 0.500
0.500 0.500 0.000
0.000 0.795 0.651
0.000 0.205 0.349
```

---

## Q
The following is a PBEsol calculation of an optimized crystal structure of TlAs2Rh, from Alexandria via LeMat-Bulk.

Results
The space-group type is Cmmm. For the calculated density, the calculation gives 10.25 g cm⁻³. Its volume is 74.0 Å³ per cell. The density of states at the Fermi level is 2.21 states/eV per cell.

POSCAR file:
```
TlAs2Rh
1.0
-1.771 0.648 -2.971
-4.075 -0.360 2.350
### Here the entry continues

In addition, DeVolt won the University award, Zircon won the Public Goods award, and AquaSave won the Climate award.